By David Melson
Development has its benefits.
Prospective new development has fueled what years of begging and pleading by longtime locals couldn’t accomplish: The state is signalizing the U.S. 231 North-State Highway 82-Eady Road intersection. Maybe a monument near the intersection memorializing those who’ve lost their lives there would be appropriate.
I suspect Tennessee Downs was the tipping point. Look for lots of traffic to hit 231 from the upcoming luxury motorsports complex, which I actually expect to be built. The new Tennessee Technology Center campus will add still more traffic. As of Thursday construction trailers were already set up, so that project's on go.
That intersection’s always seemed weird to me. It looks unusually wide coming off 82 onto 231, and southbound/northbound traffic is usually speeding up there coming from Deason or the airport/hospital area. And it seems like it takes an unusually long time to get across.
The text is interrupted by materials data
{
  "formula": "CaP2Ru2",
  "functional": "r2SCAN",
  "state": "relaxed",
  "e_form_mev_per_atom": -1011,
  "total_energy_ev_per_cell": -80.95,
  "space_group": "I4/mmm (139)",
  "magnetic_moment_mub_per_atom": 0.00,
  "lattice_angstrom": [[-2.023, 2.023, 4.964], [2.023, -2.023, 4.964], [2.023, 2.023, -4.964]],
  "species": ["Ca", "P", "P", "Ru", "Ru"],
  "frac_coords": [[0.000, 0.000, 0.000], [0.364, 0.364, 0.000], [0.636, 0.636, 0.000], [0.250, 0.750, 0.500], [0.750, 0.250, 0.500]]
}



{
  "formula": "CaPb",
  "functional": "r2SCAN",
  "state": "relaxed",
  "e_form_mev_per_atom": -651,
  "total_energy_ev_per_cell": -129.25,
  "magnetic_moment_mub_per_atom": 0.00,
  "lattice_angstrom": [[4.628, 0.000, 0.000], [0.000, 5.044, 0.000], [0.000, 0.000, 5.044]],
  "species": ["Pb", "Pb", "Ca", "Ca"],
  "frac_coords": [[0.500, 0.000, 0.500], [0.500, 0.500, 0.000], [0.000, 0.000, 0.000], [0.000, 0.500, 0.500]]
}



{
  "formula": "Ca3Pb",
  "functional": "r2SCAN",
  "state": "relaxed",
  "e_form_mev_per_atom": -475,
  "total_energy_ev_per_cell": -79.30,
  "space_group": "Pm-3m (221)",
  "magnetic_moment_mub_per_atom": 0.00,
  "lattice_angstrom": [[5.050, 0.000, 0.000], [0.000, 5.050, 0.000], [0.000, 0.000, 5.050]],
  "species": ["Ca", "Ca", "Ca", "Pb"],
  "frac_coords": [[0.000, 0.000, 0.500], [0.000, 0.500, 0.000], [0.500, 0.000, 0.000], [0.500, 0.500, 0.500]]
}



{
  "formula": "CaPdPb",
  "functional": "r2SCAN",
  "state": "relaxed",
  "e_form_mev_per_atom": -680,
  "total_energy_ev_per_cell": -264.97,
  "space_group": "P-62m (189)",
  "magnetic_moment_mub_per_atom": 0.00,
  "lattice_angstrom": [[7.968, 0.000, 0.000], [-3.984, 6.900, 0.000], [0.000, 0.000, 3.816]],
  "species": ["Ca", "Ca", "Ca", "Pd", "Pd", "Pd", "Pb", "Pb", "Pb"],
  "frac_coords": [[0.000, 0.602, 0.000], [0.398, 0.398, 0.000], [0.602, 0.000, 0.000], [0.000, 0.000, 0.000], [0.333, 0.667, 0.500], [0.667, 0.333, 0.500], [0.000, 0.272, 0.500], [0.272, 0.000, 0.500], [0.728, 0.728, 0.500]]
}



{
  "formula": "SrCaPb",
  "functional": "r2SCAN",
  "state": "relaxed",
  "e_form_mev_per_atom": -742,
  "total_energy_ev_per_cell": -322.78,
  "space_group": "Pnma (62)",
  "magnetic_moment_mub_per_atom": 0.00,
  "lattice_angstrom": [[8.515, 0.000, 0.000], [0.000, 5.213, 0.000], [0.000, 0.000, 9.680]],
  "species": ["Sr", "Sr", "Sr", "Sr", "Ca", "Ca", "Ca", "Ca", "Pb", "Pb", "Pb", "Pb"],
  "frac_coords": [[0.022, 0.250, 0.182], [0.478, 0.750, 0.682], [0.522, 0.250, 0.318], [0.978, 0.750, 0.818], [0.149, 0.250, 0.570], [0.351, 0.750, 0.070], [0.649, 0.250, 0.930], [0.851, 0.750, 0.430], [0.235, 0.750, 0.391], [0.265, 0.250, 0.891], [0.735, 0.750, 0.109], [0.765, 0.250, 0.609]]
}



{
  "formula": "SrCaPb6",
  "functional": "r2SCAN",
  "state": "relaxed",
  "e_form_mev_per_atom": -404,
  "total_energy_ev_per_cell": -363.13,
  "space_group": "P4/mmm (123)",
  "magnetic_moment_mub_per_atom": 0.00,
  "lattice_angstrom": [[4.961, 0.000, 0.000], [0.000, 4.961, 0.000], [0.000, 0.000, 9.912]],
It seems ironic to me that a complex emphasizing driving high-performance vehicles is right along the speedway…uh, highway (you do really keep it under 65 there, right? Of course you do…) It’s noticeable that moonlighting Bedford County deputies are stationed so often at Uncle Nearest events.
We’ve heard statements about industries looking at 231 North Industrial Park — which would increase traffic even more — but where are they? If any actually show up on that now-empty land, I’ll believe it when I see it.
Is it just me or do I detect a touch of arrogance in the “We know who they are but we’re not going to tell you…” pronouncements about supposed new industries given to Shelbyville City Council and Bedford County Commission members at their meetings? I respect the need for a certain amount of pre-announcement corporate privacy, but this seems to be going too far.
After months of color-coded “projects” I’d like to actually see an announcement. This repeating that an industry is coming – and so far, nothing – makes me wonder if these are actual definite future industries or just companies considering this area.
I’ve also wondered if any real effort is being made to attract more large, national retail? All we hear is talk about industry and education, I’d like to see an individual hired to specifically focus on retail development. All that person has to do is get a Chick-Fil-A in a permanent location in Shelbyville and they’ll be loved forever.
Sometimes I brainstorm about ideas that could benefit Shelbyville. Consider...
•An upscale (there’s nothing wrong with that word…) multi-story downtown apartment complex like those in Murfreesboro. The large lot stretching from Deery Street to North Jefferson Street along Depot Street would be a good place to start. Buy the Times-Gazette building, knock it down instead of remodeling it, and you’ve got a perfect large lot. I’ve thought for years that the land under the T-G is much more valuable development-wise than the building itself.
Plans for a new downtown restaurant and an amphitheater near Duck River are a good start. We already have other downtown eateries. Having a downtown theater — rare these days — helps. Add some entertainment venues and you’ve got a desirable area for living. Look at cities like Nashville, Murfreesboro and Huntsville, and think big. We aren’t going to be a “little small country town” much longer — frankly, I don’t think we are now — so let’s become the best city we can be.
And, before the rumors begin: An eventual move DOES NOT mean the newspaper will stop publishing. Newspapers are like any other business — sometimes, they move. We are NOT moving to any other city; the offices and newsroom will remain in Shelbyville. Unless you’ve got cheap office space in Hawaii or even Gulf Shores where we can move and work remotely...
I realize many say there’s still a need for affordable housing in Shelbyville. Fair enough. But to grow — and attract the right demographics for retail for everyone — amenities for those with higher incomes have to be developed.
Crystal structures that have nothing to do with the piece >
+++
# 1
Here is a geometry-optimized Li10CoSi2O10 structure from the Materials Project database. Energies are from PBE with a Hubbard U.

Spin magnetization   6.000 Bohr magnetons per cell
Space-group type   No. 1
Energy with MP2020 corrections   -284.56 eV for the cell shown
Formation energy   -55.751 eV per formula unit
Energy above the lowest structure with this stoichiometry   3 meV/atom
Final energy   -0.2137 Ha/atom

Lattice parameters (Å, degrees): 5.1844 6.1753 15.3448 101.61 99.13 90.00
Fractional coordinates of all 46 atoms:
Li 0.0000 0.0000 0.0000
Li 0.0000 0.4092 0.0000
Li 0.0409 0.3114 0.2137
Li 0.1812 0.9630 0.5168
Li 0.2161 0.2822 0.7313
Li 0.2161 0.8582 0.7313
Li 0.3325 0.5055 0.6019
Li 0.3528 0.5522 0.1274
Li 0.3528 0.9843 0.1274
Li 0.3746 0.1464 0.8837
Li 0.4339 0.3674 0.3257
Li 0.5075 0.1981 0.4760
Li 0.5075 0.6870 0.4760
Li 0.7142 0.0779 0.2550
Li 0.7142 0.5862 0.2550
Li 0.7860 0.9071 0.4051
Li 0.8440 0.1277 0.8463
Li 0.8695 0.2867 0.6038
Li 0.8695 0.7262 0.6038
Li 0.8860 0.7690 0.1289
Co 0.2355 0.6720 0.9349
Co 0.9742 0.5990 0.7888
Si 0.2397 0.8559 0.3027
Si 0.6000 0.0372 0.6652
Si 0.6184 0.2372 0.0652
Si 0.9803 0.4187 0.4283
O 0.0481 0.5413 0.6735
O 0.1093 0.3847 0.8659
O 0.1093 0.8904 0.8659
O 0.1616 0.7297 0.0502
O 0.2949 0.2326 0.0560
O 0.3006 0.4241 0.4390
O 0.3290 0.0561 0.2521
O 0.3290 0.6052 0.2521
O 0.3889 0.9089 0.4087
O 0.4740 0.7896 0.6014
O 0.4856 0.2214 0.6075
O 0.5039 0.0871 0.7650
O 0.7138 0.1874 0.9656
O 0.7357 0.0501 0.1223
O 0.7357 0.4814 0.1223
O 0.8307 0.3653 0.3214
O 0.8905 0.2218 0.4783
O 0.8905 0.6657 0.4783
O 0.9187 0.8504 0.2917
O 0.9242 0.0421 0.6750

# 2
Here is a geometry-optimized NaVO2F2 structure from the Materials Project database. Energies are from PBE with a Hubbard U.

Piezoelectric modulus e_max   3.09 C/m²
Spin magnetization   0.000 Bohr magnetons per cell
Space-group type   No. 4
Energy with MP2020 corrections   -80.66 eV for the cell shown
Formation energy   -16.199 eV per formula unit
Final energy   -0.2225 Ha/atom

Lattice parameters (Å, degrees): 6.5629 3.5755 7.3216 90.00 110.05 90.00
Fractional coordinates of all 12 atoms:
Na 0.1352 0.0000 0.2151
Na 0.8648 0.5000 0.7849
V 0.3614 0.0298 0.7852
V 0.6386 0.5298 0.2148
O 0.2148 0.0365 0.5567
O 0.4052 0.5130 0.8599
O 0.5948 0.0130 0.1401
O 0.7852 0.5365 0.4433
F 0.1210 0.0019 0.8826
F 0.3634 0.5015 0.2433
F 0.6366 0.0015 0.7567
F 0.8790 0.5019 0.1174

# 3
Here is a geometry-optimized LiMnBO3 structure from the Materials Project database. Energies are from PBE with a Hubbard U.

Spin magnetization   45.002 Bohr magnetons per cell
Space-group type   No. 1
Energy with MP2020 corrections   -425.46 eV for the cell shown
Formation energy   -14.679 eV per formula unit
Energy above the lowest structure with this stoichiometry   68 meV/atom
Final energy   -0.2667 Ha/atom

Lattice parameters (Å, degrees): 3.2442 14.4966 14.5013 119.95 90.05 90.05
Fractional coordinates of all 54 atoms:
Li 0.0000 0.0000 0.0000
Li 0.0010 0.3307 0.6805
+++
Upscale and affordable can co-exist.
•The U.S. 231 South-New Center Church Road intersection. Shelbyville is growing to the south as well as the north; note the new subdivision off Jordan Avenue. I’ve heard on and off that a high school may be added to Liberty School at some point, and that location makes sense. That would drive more traffic to that junction.
It would depend on property owners’ wishes for the future uses of their land, but I could see the area developing into a larger intersection with a convenience store and other nearby businesses.
Speaking of roads and traffic:
•A right turn lane is desperately needed southbound on Colloredo Boulevard at Union Street. Ditto for the westbound side of Fairfield Pike at North Main Street (the Walgreens-Circle K intersection.)
•Madison Street needs paving from Whitthorne Street to Wartrace Pike. I suspect that may happen when the state decides they’re finished with the 41A four-laning.
Our area’s growing. Development is important — but so is well-planned, thought-out development.